Are you looking for the best dentist for getting you work done.
Obviously when it comes to your health and you are ready to spend then why do u want to compromise?
We will help you choose the best for the job assigned.
1. In India the only recognised degrees by dental council of india are B.D.S (bacheleor of dental surgery) and MDS (Master of dental surgery)
None other degree like MIDA is a degree. It is actually a shortform for member of Indian dental ascociation and most of the additives few people use to lure in patients are just short forms to their membership to an ascociation and not a degree.
Of course dentists can update their knowledge and skills by undergoing certain shortcourses or CDE programes but they do not get any academic qualification by these courses.
So don’t fall prey to such MIDA AND MIES OR MOSI like false luring starategies by dentists.
2. Know the different specialities in dentistry- Like other fields of medicine dental sciences is also divided into specialities.
A general dentist goes through a specialised training for three years and exclusively works and learns the speciality work like-
A. Endodontics and conservative dentistry– a dentist trained in this field is known as an endodontist. The speciality deals with dental procedures like Root canal treatment, endodontic surgeries, non surgical retreatment of failed cases, management of badly brocken tooth by Post and core treatment, aesthetic dentistry procedures like veneers , laminates etc.
B. Prosthodontics crown and bridge – a dentist who is trained in this field is called as a prosthodontist and deals with all kinds of prosthesis that replace a missing tooth or tissue. Fixed partial dentures, removable dentures, complete dentures, replacing lost oral and facial structures, Implants etc.
C. Oral and maxillofacial surgery- the specialist is known as an oral surgeon and deals with- surgical extraction of complicated cases, removal of impacted teeth, management of trauma including fractures, management of cyst an d tumors related to facial region, orthognathic or jaw correction surgeries.
D. Orthodontics and dentofacial orthopedics– the specialist is known as a orthodontist and deals with correction of malaligned teeth by means of BRACES, wires or appliances. They are trained to observe and manipulate the growth of jaws to achieve a favourable outcome using appliances.
E. Pedodontics and preventive dentistry- specialist is known as a pedodontist and deals in management of all dental problems in children.
F. Periodontics –A periodontist is a dentist who specializes in the prevention, diagnosis, and treatment of periodontal disease, and in the placement of dental implants. Periodontists are also experts in the treatment of oral inflammation.
G. Preventive and community dentist– They are related to managing dental problems in community as large. They play a pivotal role in preventive programes for overall betterment of dental health in society.
H. Oral medicine and radiology– This speciality deals with diagn ostic part in dentistry including radiologic diagnosis and medicinal management of oral diseases.
So one of the criteria while choosing a dentist near you is type of dental work you need.
_These data records were left in the page by mistake_
- - -
No. 1
Material: Ca2Zn3Ga
Method: DFT, GGA-PBE
State: optimized geometry

Cell lengths 9.0506, 8.6625, 5.8366 Å; angles 74.40, 67.20, 38.40 degrees
Element x y z (fractional)
Ca 0.2482 0.7518 0.7518
Ca 0.2500 0.2500 0.2500
Ca 0.7500 0.7500 0.7500
Ca 0.7518 0.2482 0.2482
Zn 0.1670 0.1670 0.8330
Zn 0.1676 0.6660 0.3340
Zn 0.3340 0.8324 0.1676
Zn 0.6660 0.1676 0.8324
Zn 0.8324 0.3340 0.6660
Zn 0.8330 0.8330 0.1670
Ga 0.3338 0.3338 0.6662
Ga 0.6662 0.6662 0.3338

Computed properties:
space group: No. 69
spin magnetization: 0.0000 μB per atom
ρ: 4.4 g cm⁻³
DFT formation energy: -0.342 eV/atom
density of states at the Fermi level: 0.615 states/eV per atom

***

No. 2
Material: Ca2Zn3Ga
Method: DFT, GGA-PBE
State: optimized geometry

Cell lengths 10.6446, 4.5183, 7.3431 Å; angles 90.00, 133.61, 90.00 degrees
Element x y z (fractional)
Ca 0.0000 0.0000 0.0000
Ca 0.0918 0.0000 0.5897
Ca 0.5000 0.5000 0.0000
Ca 0.5918 0.5000 0.5897
Zn 0.2082 0.5000 0.0103
Zn 0.2099 0.5000 0.4058
Zn 0.3807 0.0000 0.1913
Zn 0.7082 0.0000 0.0103
Zn 0.7099 0.0000 0.4058
Zn 0.8807 0.5000 0.1913
Ga 0.3824 0.0000 0.5728
Ga 0.8824 0.5000 0.5728

Computed properties:
space group: No. 8
spin magnetization: 0.0000 μB per atom
ρ: 4.5 g cm⁻³
DFT formation energy: -0.365 eV/atom
density of states at the Fermi level: 0.443 states/eV per atom

***

No. 3
Material: Ca3Zn2Ga4
Method: DFT, GGA-PBE
State: optimized geometry

Cell lengths 5.8490, 5.8490, 8.6372 Å; angles 106.87, 106.87, 44.80 degrees
Element x y z (fractional)
Ca 0.0000 0.0000 0.0000
Ca 0.3533 0.3533 0.3204
Ca 0.6467 0.6467 0.6796
Zn 0.3523 0.3523 0.6858
Zn 0.6477 0.6477 0.3142
Ga 0.0812 0.0812 0.4102
Ga 0.2741 0.2741 0.9362
Ga 0.7259 0.7259 0.0638
Ga 0.9188 0.9188 0.5898

Computed properties:
space group: No. 12
spin magnetization: 0.0000 μB per atom
ρ: 4.5 g cm⁻³
DFT formation energy: -0.448 eV/atom
density of states at the Fermi level: 0.324 states/eV per atom

***

No. 4
Material: Ca4Zn3Ga
Method: DFT, GGA-PBE
State: optimized geometry

Cell lengths 9.0394, 9.0394, 9.0394 Å; angles 33.38, 33.38, 33.38 degrees
Element x y z (fractional)
Ca 0.1245 0.1245 0.1245
Ca 0.3745 0.3745 0.3745
Ca 0.6255 0.6255 0.6255
Ca 0.8755 0.8755 0.8755
Zn 0.2497 0.2497 0.2497
Zn 0.5000 0.5000 0.5000
Zn 0.7503 0.7503 0.7503
Ga 0.0000 0.0000 0.0000

Computed properties:
space group: No. 166
spin magnetization: 0.0000 μB per atom
ρ: 3.6 g cm⁻³
DFT formation energy: -0.297 eV/atom
density of states at the Fermi level: 0.645 states/eV per atom

***

No. 5
Material: Ca8Zn2Ga
Method: DFT, GGA-PBE
State: optimized geometry

Cell lengths 8.3565, 8.3565, 6.1109 Å; angles 100.34, 100.34, 113.17 degrees
Element x y z (fractional)
Ca 0.0000 0.0000 0.0000
Ca 0.0277 0.2839 0.6021
Ca 0.1474 0.5826 0.1906
Ca 0.2839 0.0277 0.6021
Ca 0.4365 0.6932 0.7965
Ca 0.5826 0.1474 0.1906
Ca 0.6932 0.4365 0.7965
Ca 0.7234 0.7234 0.3751
Zn 0.0444 0.6680 0.6850
Zn 0.6680 0.0444 0.6850
Ga 0.3653 0.3653 0.0459

Computed properties:
space group: No. 8
- - -
Although a general dentist can take care of your problem and may refer you to specialist in case you need a specialist care but you can directly approach a specialist for your dental need when you are aware of the specialities.
We have come up with certain criterias that you should look for when looking for a good dentist
The following criteria can be noted like:
- Clinic working hours (check whether the doctor works both morning and evening)
This will help you firstly in finding an appropriate appointment which will not disturb your schedule of your job hours.
Moreover in procedure that require multiple sittings and emergencies like pain the availability of dentist for morning as well as evening is always advantageous.
- Check the office to make sure its clean, neat and orderly
Dental office is a place that can have a lot of infections if not maintained well. So always choose a neat and clean practice that takes care of adequate hygiene practices that will be healthy for you.
You can check for the sterilisation protocols of the office.
Autoclaving is the gold standard for sterilisation.
Sterilisation pouches which have indicators of sterility are good way to know if the instruments have been autoclaved properly.
- Observe the dental surgeon and assistants wearing gloves and other protective gear during treatment
Barrier protection is a must and minimum criteria that your dentist must use to prevent cross contamination of deadly diseases like HIV, Hepatitis etc.
- See If Dentist / dental clinic offers emergency services after working hours
Its always better to choose a dentist who offers emergency services as a part of there services.
- Informations about all fees and payments are planned before treatment is scheduled
The fees structure for various services should either be displayed or made clear prior to procedures to avoid any misindurstandings and maintain transparency.
Root canal procedure – Does the post root canal restoration will be charged separately or is included in charges. Crown charges are usually separate but u should always ask to avoid any misunderstandings.
Crown and bridge- are the lab charges included?
Charges for temporistation are different or included?
- Does your dentist work by appointments or calls up all patients at time?
This is very important for saving your time. Usually a dental procedure typically last for anywhere between 15 minutes to an hour. So waiting hours at a dental office can be frustrating.
A dentist who works by appointment is always beneficial in terms of saving time. ( but you should respect the appointment by reaching on time to avoid inconvenience to all others.)
- Record keeping
Its an important factor. You can acess your old records if you move out or need it as a reference.
So choose your dentist wisely. A good dentist alongwith your proper care can give you an everlasting beautiful and healthy smile.